Summary: What if the revival that we and the Psalmist pray for comes? What are some of the results? These beautiful words describe a people restored, forgiven and blessed. When God’s people return to Him the result is that revival’s blessings penetrates our la

Revivals of the Bible Series: PSALMS 85: 8-13


[Leviticus 26:3-13]

The Psalmist has just prayed, “Will You not Yourself revive us again, that Your people may rejoice in You?” It is the cry of one who wanted God’s people to come alive to and in His grace and power. That is what revival is all about –the restoration of something to its true nature and purpose. We were all created to glorify God, and enjoy Him forever. Revival simply fulfills God’s desire for us to know Him in the fullness of His Spirit and declare His praise to the ends of the earth.

Few will question the need for such an awakening today. For many good people, even within the church, life has lost its meaning. There is no sparkle in the eye, no spring in the step. As the religious community flounders in mediocrity, the world plunges deeper into sin. Moral standards in public and private are debased. Everything is unsettled. Lawlessness abounds. All the while a cloud of nuclear and natural destruction gathers overhead.

The day of reckoning is sure to come. Degeneration has its limits. The crises must be resolved, revival must come, or the end may come quicker than we guess. Though our present distress calls for anguish, at the same time it calls for confident prayer. For we have a God that has entered into covenant relationship with us. With such a loving and faithful God the future can be bright for God’s people so that we might fulfill the purpose for our being created.

But what if the revival that we and the Psalmist pray for comes? What are some of the results? These beautiful words describe a people restored, forgiven and blessed. When God’s people return to Him the result is that revival’s blessings penetrates our land (C.I.T.).



The desperate request for revival having been prayed, the prayer now listens for God’s response beginning in verse 8. “I will hear what God the LORD will say; For He will speak peace to His people, to His godly ones; But let them not turn back to folly.

### Between two parts of the text: data records
-- begin --
Entry 1:
A cluster of 6 separate species, C40H94N6O9 in total at a distorted geometry. Source: the Open Molecules 2025 dataset; level of theory: ωB97M-V/def2-TZVPD.

Summary:
Gap between HOMO and LUMO (spin up / spin down) ... 0.2297 / 0.0710 Ha
Lowest unoccupied orbital energy (spin up / spin down) ... -0.1000 / -0.2588 hartree
Spin multiplicity ... 2
Expectation value of S² ... 0.754
HOMO energy (spin up / spin down) ... -8.9724 / -8.9724 eV
Net charge ... +1

Geometry (Å):
C 0.84 -1.52 -9.86
C -0.13 -2.41 -10.61
C -0.65 -3.72 -9.96
O 0.46 -4.62 -9.67
C 0.20 -5.78 -8.93
N -1.33 -1.63 -10.71
H 1.86 -1.85 -10.06
H 0.67 -1.41 -8.79
H 0.80 -0.55 -10.35
H 0.24 -2.62 -11.61
H -1.42 -4.18 -10.59
H -1.22 -3.53 -9.04
H 0.05 -5.57 -7.87
H 0.91 -6.58 -9.11
H -0.67 -6.32 -9.31
H -1.79 -1.93 -11.56
H -1.01 -0.69 -10.56
C -6.44 -9.66 -11.20
O -7.68 -8.76 -11.18
C -7.33 -7.49 -10.73
C -6.24 -6.79 -11.62
N -5.12 -6.16 -10.87
C -4.30 -5.19 -11.53
C -3.25 -5.98 -12.31
O -2.21 -5.14 -12.71
C -1.17 -5.82 -13.45
H -5.98 -9.66 -10.22
H -5.77 -9.30 -11.98
H -6.89 -10.65 -11.29
H -7.04 -7.66 -9.69
H -8.27 -6.93 -10.70
H -6.68 -5.91 -12.09
H -5.91 -7.35 -12.50
H -5.52 -5.71 -10.06
H -3.69 -4.59 -10.86
H -4.87 -4.43 -12.07
H -3.81 -6.44 -13.13
H -2.94 -6.83 -11.70
H -1.56 -5.91 -14.46
H -0.78 -6.77 -13.09
H -0.27 -5.20 -13.44
C -12.80 -19.38 -13.17
O -12.43 -19.18 -14.52
C -11.76 -17.99 -14.97
C -12.73 -16.83 -15.20
N -12.68 -15.78 -14.31
C -11.40 -15.13 -13.92
C -11.50 -13.57 -13.77
O -10.30 -12.97 -13.37
C -10.19 -11.54 -13.04
H -13.31 -20.34 -13.19
H -13.39 -18.59 -12.71
H -11.92 -19.49 -12.54
H -11.31 -18.21 -15.94
H -10.90 -17.75 -14.33
H -13.78 -17.10 -15.34
H -12.70 -16.44 -16.22
H -13.54 -15.41 -13.93
H -10.64 -15.28 -14.68
H -11.15 -15.56 -12.95
H -12.21 -13.52 -12.94
H -11.99 -13.07 -14.61
H -10.35 -11.12 -14.04
H -9.13 -11.44 -12.83
H -11.01 -11.29 -12.36
C -2.92 -11.27 -20.21
O -2.44 -10.52 -19.15
C -3.20 -10.63 -18.00
C -2.61 -9.64 -17.00
N -3.41 -9.66 -15.84
C -2.94 -8.68 -14.83
C -3.06 -9.53 -13.53
O -1.90 -10.47 -13.49
C -1.70 -10.89 -12.08
H -3.32 -12.25 -19.93
H -2.12 -11.44 -20.94
H -3.71 -10.69 -20.69
H -3.24 -11.66 -17.64
H -4.22 -10.39 -18.32
H -2.38 -8.65 -17.39
H -1.56 -9.90 -16.87
H -3.55 -10.62 -15.55
H -3.65 -7.87 -14.74
H -1.91 -8.34 -14.91
H -4.04 -9.95 -13.30
H -2.82 -8.73 -12.83
H -0.82 -11.54 -12.12
H -2.55 -11.49 -11.76
H -1.55 -9.99 -11.48
C -7.97 -2.58 -16.75
C -6.53 -2.30 -16.14
C -6.50 -3.22 -14.92
C -6.15 -4.69 -15.37
C -4.72 -4.70 -15.98
C -4.30 -3.35 -16.77
N -5.54 -2.70 -17.19
O -5.29 -1.76 -18.17
C -3.34 -2.54 -15.76
C -3.52 -3.75 -18.05
C -6.32 -0.84 -15.62
H -8.72 -2.13 -16.10
H -8.17 -3.65 -16.81
H -8.04 -2.11 -17.73
H -5.82 -2.91 -14.12
H -7.51 -3.34 -14.53
H -6.85 -5.18 -16.04
H -6.08 -5.38 -14.53
H -4.53 -5.63 -16.52
H -4.08 -4.98 -15.15
H -2.70 -1.96 -16.43
H -3.78 -1.85 -15.05
H -2.77 -3.18 -15.08
H -2.69 -4.40 -17.79
H -4.17 -4.28 -18.75
H -2.97 -2.96 -18.56
H -5.33 -0.40 -15.75
H -6.46 -0.60 -14.57
-- stop --

Having expressed His plea to God in the belief that God hears, the Psalmists now expresses the peoples’ willingness “to hear God” and abide by what He says. It is only natural that if we want God to hear us, we must listen to hear Him. We hear God most clearly, most faithfully in His Word, the Bible, which we listen to so that we might obey God’s precepts.

JOHN BUNYAN wrote his influential allegory Pilgrim’s Progress only after mastering the Scriptures and taking them into his heart. He often told people not to become discouraged if they couldn’t fully understand a particular Bible passage. He said, “Although you may have no commentaries at hand, continue to read the Word and pray; for a little from God is better than a great deal received from man.” Too many are content to listen to what comes from men’s mouths, without searching and kneeling before God to know the real truth. That which we receive directly from the Lord through the study of His Word is from the ‘minting house’ itself. Even old truths are fresh if they come to us with the smell of Heaven upon them.” As Christians we must consult God’s wonderful love letter daily with receptive hearts that say I will hear what God the Lord will say.

The second clause gives the reason for this willingness of the repentant soul to hear; “for He will speak peace to His people, to His godly ones.” The result of waiting on God is that God promises peace. Even though His voice is stern with rebuke when we disobey, when we are obedient our Father resumes His natural tone of gentleness and compassionate interest.

Speaking this peace is something only the Lord can do. Peace is not only protection from one’s enemies and productivity for the Lord (Lev. 26) but God’s Shalom is the result of everything that He will do for His people materially, physically, socially, spiritually, emotionally, and psychologically. Now this is not the me- centered message of health, wealth and prosperity. But it is what occurs in revival. Wherever God’s voice has been obeyed fully God’s people have experienced the peace of God that passes all understanding. This peace has both inner and outer aspects that cannot be compared to any get God in order to get rich program you can name and claim.

The promise is for the repentant people of God. He they are called “His people, His godly ones.” What a privilege it is to belong to God and to be chosen to be His special possession (Ex. 19:5-6), to be His godly ones or Saints. Like the N.T., the O.T. also calls His people Saints (or those set apart for God). This seems so distant from us but even the brethren in the messed-up church at Corinth were called Saints (1 Cor. 1:2).

The third clause is a warning against the failure to continue to comply with God’s requirements for peace and revival given to both individuals and churches. “But let them not turn back to folly.” Often when everything is going ok in our lives we turn to other dreams and purposes other than glorifying God and rejoicing in Him. God jealously desires the Spirit He has given to live within us. To turn back to folly after tasting of God’s goodness is worse than being foolish initially. It indicates a turning from following God, His Word, His directions. Turn back implies a willful stubbornness. There is no fool like the man who will be a stubborn fool, cost him what it may. Such a reversal of directions would be tantamount to pigs who jump back in the mud after being cleaned up or dogs who return to their vomit instead of their master’s wholesome dish (2 Pet. 2:22).

Verse 9 indicates that God sanctifies those who fear and glorify Him. Surely His salvation is near to those who fear Him, That glory may dwell in our land.

Those who belong to the Lord are now called “those who fear Him.” Faith knows that a saving God is near at hand but only to those who fear Him. The fear of the Lord is the beginning of wisdom (Ps. 111:102, 112:1-9; Prov. 1:7; 9:10). No matter our dilemma or tribulation, if we fear God His deliverance is always close. What sweet encouragement that is to our being.

The promise for those meeting the conditions to be revived by God is that “the glory of God may dwell in the land.” “The glory of God” indicates nothing less than His very own presence. What awesome glory it would be that the presence of God would come down to people who had called up to heaven for revival in the land. What greater exchange could there be for all the decadence and rampant evil than to have the glorious presence of God dwelling with us in neighborhoods, towns, and cities that are now all but given over to lawlessness. Is it not more than reason enough for us to plea for a fresh work of God in our churches?


In verses 10-13 the Lord God announces future blessings He would send, if His people continue to walk in Him. God’s attributes are seen as coming together in verse 10 to accomplish revival. Loving-kindness and truth have met together; Righteousness and peace have kissed each other.

In revival, because of what Jesus Christ has done, things that seem humanly opposed to each other begin to work together for our good. If the truth of God was strictly adhered to no one could gain His favor. But the loving-kindness or grace of Jesus Christ is interposed in our behalf and we can now be joined to God’s truth. God’s revival of grace brings us undeservingly in-line with His truth.

The reconciliation continues with God’s righteousness or justice, which is beyond human attainment, being attained for us by Jesus Christ so that we have peace, immunity from all disturbing causes, and prosperity of every kind, instead of the judgment which would have been ours without revival. Righteousness and peace not only come together, but they embrace and kiss each other.

Surely we glimpse here the person and work of Jesus Christ. For only through Him and His cross have mercy and truth for mankind’s sake become friends and righteousness and peace join together for fallen man.

The Psalmist continues with the picture of revival in verse 11.

“Truth springs from the earth, and righteousness looks down from heaven.

This picture of revival may be looked at from two different places. From the terrestrial side, truth (or faithfulness-NIV) is seen as springing forth from the earth in an abundance of productiveness. God’s promises to us on earth are true but they have often been left laying unfulfilled like buried seed. During the special visitation of God’s grace once these dormant seeds will spring up and yield great harvests of joy. Men and women renewed by God’s great grace will become true to God and each other and abhor the falsehood in which they once lived and loved.

The earth will spring forth truth for society so that communities and nations will also will experience the results of revival. This is what has happen in the past when slavery was abolished, child labor laws were enacted, work hours were shortened, missionary organizations were formed, the YMCA was begun in many cities of the world, slums were cleared, the Sunday School movement began, homes for unwed mothers were provided, abortion was condemned, law and order was restored to the major urban centers and streets. These blessings and many similar reforms were enacted by revived consciences of restored believers moving out into the marketplaces of the world and our society at large [Walter Kaiser, Jr. Revives Us Again. Broadman & Holman Publ. Nashville, TN. 1999. P. 28].

The second clause of verse 11 is that from the heavenly direction comes righteousness. The word translated looks down pictures the Lord God bending over and leaning forward to look upon His people because He is anxious to find how and where He can help and provide for them. Yes, rain and sunbeams send their blessings from heaven but even more God desires to send good upon His good creation. There is nothing of greater goodness that God can give us than righteousness, His imputed righteousness and our experiential righteousness, as we mature in Christ-likeness.

Verse 12 teaches that when we come into harmony with God, the land comes into fruitful harmony with us. “Indeed, the Lord will give what is good, and our land will yield its produce (increase).

Being pure goodness Himself, God delights to turn from His anger and bring good to His repentant people and to His earth. The good here promised is material good which is consistently bestowed where spiritual good abounds. There is a close alliance between virtuous conduct and physical well-being in individual and community life. When God revives His people, even the land experiences a substantial healing which is but a small shadow of the full restoration of the whole of creation that will occur when our Lord returns for a second time to earth (Rom. 8:20-22). Part of the covenant blessings promised in Leviticus 26:4 is that “the ground will yield its crops” when God’s people obey Him. Generally the most prosperous times in English and American history were directly connected as aftermaths of revivals from God.

[THE PILGRIM’S PESSIMISM] Just as the sun can be blotted out by an eclipse, so moods of pessimism and doubt can plunge us into spiritual darkness. At times our situation may seem so desperate that we think even God Almighty can’t carry us through.

Things were becoming desperate on the MAYFLOWER in1620. This darkness was reflected in gloomy attitude of Robert Cushman. Cushman recorded his despair when he wrote, “If we ever make plantations [farms] in New England, God works a miracle! Especially considering how scant we shall be of victuals [vittles], and (worst of all) ununited amongst ourselves. If I should write you of all the things that foretell our ruin, I should overcharge my weak head and grieve your tender heart. Only this I pray you. Prepare for evil tidings of us everyday, I see not in reason how we can escape. Pray for us instantly.” In spite of Cushman’s fears, God brought the pilgrims to their destination and enabled them to establish a home in the wilderness. It does not matter the desperateness of our condition, if we cry out to God for revival, He can do it again!

The third mentioning of righteousness in verse 13 calls righteousness God’s herald. “Righteousness will go before Him and will make His footsteps into a way.”

The only way that God can act or “go” is in “righteousness.” This same righteousness that smote sin in justice will also make away for His people to walk in it. In fact it already has! Jesus Christ walked in the way of righteousness all the days of His pilgrimage upon the earth. He forged the way of righteousness and the way to God. He established the way from earth to Heaven and also the way in which that His people should walk. We are to follow in His footsteps. In times of revivals many join us in the straight and narrow until this infrequently trodden path becomes a way, for it is the way of discipleship and fellowship, and the only way to God.

Proverbs 14:34 is still true: “Righteousness exalts a nation, but sin is a disgrace to any people.” It is also exceedingly true that “where there is no revelation [i.e., preaching of the Word of God to God’s people or to any nation], the people cast off restraint” (Proverbs 29:18). May we as God’s people follow in the way of righteousness, ordering our steps and plans according to His divine will. We know not if this will bring revival, but it is the way of the redeemed.


The Psalm heralds a new day for the people of God, once they fully turn back to Him. A will be a day in which God’s salvation would be evident in the land’s prosperity, but even more importantly, in the people’s godly lives. What a blessing to know that God has forged a path for us to follow. How frequently in our low times we have ask for guidance and for leadership. In times of revival that guidance and leadership is clear and certain.

What a blessing revival is to both the land and to its inhabitants. God delivers His repentant people from the power of present evils by His all-sufficient enabling. When God’s presence is manifested in the church it is a sure sign that He wants to bring revival. If we will rejoice and glory in His presence, God will send revival to the land. Then many will follow His footsteps that lead in His righteous way and forsake their man-made variety. Come Lord Jesus into our worship and lives that we may enter Your presence and rejoice in Thee!